[To do]
It remains to search the material underneath for the word "Cartesian" and copy each line that has it.

[Excerpt]
<<<
## NiOs2 (PBE)

Data for a relaxed structure of NiOs2.

Cell and atoms, written as POSCAR:
```
NiOs2
1.0
4.786 -1.381 0.000
4.786 1.381 0.000
-1.583 0.000 6.048
Ni Os
2 4
Cartesian
-0.231 0.000 1.852
8.220 0.000 4.195
2.360 0.000 2.211
1.910 0.000 5.827
6.078 0.000 0.221
5.628 0.000 3.837
```

- energy relative to the elements (eV/atom) = 0.108
- energy (eV/cell) = -55.8
- space-group type = C2/m

=====

## Pm4PrDy6 (PBE)

Data for a relaxed structure of Pm4PrDy6.

Cell and atoms, written as POSCAR:
```
Pm4PrDy6
1.0
-3.337 3.337 8.527
3.337 -3.337 8.527
3.337 3.337 -8.527
Pm Pr Dy
4 1 6
Cartesian
2.070 2.070 -2.998
1.267 -1.267 11.525
1.267 1.267 5.530
-1.267 1.267 11.525
0.000 0.000 8.527
3.337 0.000 0.000
2.149 -2.149 6.379
1.188 1.188 2.148
0.000 3.337 0.000
-2.149 2.149 6.379
2.149 2.149 10.675
```

- energy relative to the elements (eV/atom) = 0.311
- energy (eV/cell) = -48.0
- space-group type = I-42m
>>>

[Response]
Cartesian
Cartesian